Pet obesity is a growing problem in the United Kingdom with an estimated 1 in 4 cats being overweight. Obesity is a preventable disease and an extremely serious welfare issue in our cats which leads to unnecessary suffering and prevents them from leading normal, happy lives.
Being overweight can make it more likely that your cat could suffer from serious health problems and conditions such as
- Heart disease
- Diabetes
- Cystitis
- Breathing difficulties
- High Blood Pressure
- Arthritis, Joint Problems and Injuries
- Skin Problems
- Anal Gland Problems
- Ulcers / pressure sores
- Irritability
- Matted Fur
- Dirty and infected bottom
- Lethargy
- Shorter life span
- Less interactive with their families
Why Are So Many Cats Overweight?
Simply put, because we feed them to much! Domestic pets cannot regulate their food intake and exercise like wild animals because they have to rely on us as their owners to provide food and opportunities to exercise. Like humans, cats become overweight when they consume more calories than their body can use and sadly the food we provide often exceeds the amount of calories they can burn off through activity, causing them to gain weight.
Unfortunately because we see so many overweight pets out and about or on social media, it is normalising obesity and owners are getting the wrong impression of what a healthy cat of the ideal bodyweight, should look like. (I was shocked by the number of websites and images I found glorifying obese cats).
Interpreting Feeding Guidelines
The feeding guides on pet foods are based on the average calorie needs for a particular size of animal, but like humans, no two pets are alike or have exactly the same needs. We need to remember that the feeding advice given on a pet food is just a guide and your cat’s needs may be significantly lower than the suggested amount. If you have an indoors cat, an older cat, or a cat that doesn’t enjoy going out very often then he or she will need far fewer calories than a cat that goes out daily and wanders about for miles.
Cat’s have evolved as skilled hunters, often spending hours stalking, catching and then killing their prey and all of that hard work expends energy and burns calories. Now that our cats are household pets and share their homes with us, they hardly need to expend any energy at all jumping down off the windowsill or sofa and sauntering over to their food bowl.
(Here the piece breaks off for crystal structures)
- - -
Arrangement w

VASP calculation (PBE) on a relaxed structure of Na5CuO4.

a = 7.2046 Å, b = 7.4759 Å, c = 5.3968 Å
α = 90.00°, β = 90.00°, γ = 90.00°
Atoms (fractional coordinates):
Na  0.0103  0.0546  0.2413
Na  0.0103  0.4454  0.2413
Na  0.2500  0.7500  0.3243
Na  0.4897  0.0546  0.2413
Na  0.4897  0.4454  0.2413
Na  0.5103  0.5546  0.7587
Na  0.5103  0.9454  0.7587
Na  0.7500  0.2500  0.6757
Na  0.9897  0.5546  0.7587
Na  0.9897  0.9454  0.7587
Cu  0.2500  0.2500  0.7122
Cu  0.7500  0.7500  0.2878
O  0.0214  0.2500  0.9011
O  0.2500  0.0228  0.5313
O  0.2500  0.4772  0.5313
O  0.4786  0.2500  0.9011
O  0.5214  0.7500  0.0989
O  0.7500  0.5228  0.4687
O  0.7500  0.9772  0.4687
O  0.9786  0.7500  0.0989

Values from the calculation:
The space-group type is Pmmn (59).


Arrangement x

VASP calculation (PBE) on a relaxed structure of Na5CuO4.

a = 5.9873 Å, b = 17.9632 Å, c = 10.4858 Å
α = 90.00°, β = 90.00°, γ = 90.00°
Atoms (fractional coordinates):
Na  0.0756  0.0659  0.0641
Na  0.0756  0.4341  0.5641
Na  0.0785  0.1384  0.7960
Na  0.0785  0.3616  0.2960
Na  0.0855  0.5016  0.8424
Na  0.0855  0.9984  0.3424
Na  0.1017  0.6712  0.1709
Na  0.1017  0.8288  0.6709
Na  0.1027  0.7485  0.4209
Na  0.1027  0.7515  0.9209
Na  0.3973  0.2485  0.4209
Na  0.3973  0.2515  0.9209
Na  0.3983  0.1712  0.1709
Na  0.3983  0.3288  0.6709
Na  0.4145  0.0016  0.8424
Na  0.4145  0.4984  0.3424
Na  0.4215  0.6384  0.7960
Na  0.4215  0.8616  0.2960
Na  0.4244  0.5659  0.0641
Na  0.4244  0.9341  0.5641
Na  0.5756  0.0659  0.4359
Na  0.5756  0.4341  0.9359
Na  0.5785  0.1384  0.7040
Na  0.5785  0.3616  0.2040
Na  0.5855  0.5016  0.6576
Na  0.5855  0.9984  0.1576
Na  0.6017  0.6712  0.3291
Na  0.6017  0.8288  0.8291
Na  0.6027  0.7485  0.0791
Na  0.6027  0.7515  0.5791
Na  0.8973  0.2485  0.0791
Na  0.8973  0.2515  0.5791
Na  0.8983  0.1712  0.3291
Na  0.8983  0.3288  0.8291
Na  0.9145  0.0016  0.6576
Na  0.9145  0.4984  0.1576
Na  0.9215  0.6384  0.7040
Na  0.9215  0.8616  0.2040
Na  0.9244  0.5659  0.4359
Na  0.9244  0.9341  0.9359
Cu  0.1774  0.1226  0.5386
Cu  0.1774  0.3774  0.0386
Cu  0.3226  0.6226  0.5386
Cu  0.3226  0.8774  0.0386
Cu  0.6774  0.1226  0.9614
Cu  0.6774  0.3774  0.4614
Cu  0.8226  0.6226  0.9614
Cu  0.8226  0.8774  0.4614
O  0.1419  0.6212  0.9578
O  0.1419  0.8788  0.4578
O  0.1889  0.5460  0.6385
O  0.1889  0.9540  0.1385
O  0.2316  0.7111  0.6312
O  0.2316  0.7889  0.1312
O  0.2428  0.6252  0.3595
O  0.2428  0.8748  0.8595
O  0.2572  0.1252  0.3595
O  0.2572  0.3748  0.8595
O  0.2684  0.2111  0.6312
O  0.2684  0.2889  0.1312
O  0.3111  0.0460  0.6385
O  0.3111  0.4540  0.1385
O  0.3581  0.1212  0.9578
O  0.3581  0.3788  0.4578
O  0.6419  0.6212  0.5422
O  0.6419  0.8788  0.0422
O  0.6889  0.5460  0.8615
O  0.6889  0.9540  0.3615
O  0.7316  0.7111  0.8688
O  0.7316  0.7889  0.3688
O  0.7428  0.6252  0.1405
O  0.7428  0.8748  0.6405
O  0.7572  0.1252  0.1405
O  0.7572  0.3748  0.6405
O  0.7684  0.2111  0.8688
O  0.7684  0.2889  0.3688
- - -
Feeding your pet is like a balancing act and you may have to increase or decrease the feeding amount every so often to help your pet maintain his or her ideal weight. If you are unsure about how much to feed your cat, then contact your veterinary practice for advice.
Not Weighing Food Portions
Did you know that weighing out your cat’s food using a set of digital kitchen scales can make a huge difference to calorie intake? Digital kitchen scales are relatively cheap to purchase and are widely available.
Using a cup, scoop or measuring by eye, can actually mean the food amount can differ by up to 20g every day, which could mean that your pet is getting lots of extra calories. Even a few extra biscuits a day soon adds up, so weigh out your pet’s dry food portion daily for best results.
If you feed wet food from pouches and tins, it may be easier to work out how many pouches or tins of food your pet should have per week and then sticking to that amount. This means that they may get more or less food than they should on any given day but they won’t exceed their calorie allowance for the week.

Tit-Bits and Treats
I am never against giving pets treats and tit-bits, because they are great for giving as a reward and demonstrating affection, but before you give your pet a treat have a think about the amount of calories it might contain.
As pet owners we often forget to take into account all of the extra tit-bits and treats that we feed our pets during the day. Did you know that some of the more popular pet treats and dental aids on the market can make up approximately 1/3 or more of your pet’s daily calorie allowance when they are fed the recommended daily portion? Even the very small sized cat treats can contain anywhere between 2 and 30 kcals each and while this may not be a lot of extra calories to a human, it can equate to a huge amount for a cat.
The Golden Rule For Giving Treats – If you give any tit-bits or treats you need to reduce your pet’s normal food slightly to compensate.
Our pets are very good at manipulating us and many quickly learn that if they perform certain behaviours such as meowing, head nudges and “the big- eyed look” they will get a treat or some more food in their bowl. Cats quickly learn which family member they are more likely to get food from and we all know how hard it is to ignore the cat sitting by the food bowl and meowing pitifully until someone gives in.
It is up to you to teach yourself to ignore your cat when he or she does this, try involving him or her in a play, petting or grooming session rather than giving them food.
Some cats are scavengers and steal food off plates and kitchen counters. A surprising number of cats like to visit several different houses and ask for or steal food (mine included!) and lets not forget the pets that steal food from others in the household.
Illnesses and Medications
Some illnesses can cause weight gain particularly if they slow down the metabolism and/or cause fluid to build up in various parts of the body, but this should not be confused with fat gain. Your vet will be able to assess your pet and advise you about whether you should help them to lose some weight or not.
How To Tell If Your Cat Is Overweight
The next time you stroke your pet, run your hands over their back, chest, and tummy areas. Gently feel all over your pet’s body, applying only very light pressure
Feel along the ribs (chest area).
Can you feel an outline of the ribs without applying any pressure? If not, your pet is likely to be overweight
Feel along the waist and tummy.
Can you feel or see an abdominal tuck from the side of the animal and above? If not, your pet is likely to be overweight
Feel down along the spine.
Can you feel the spine? If you cannot feel the spine properly your pet may be overweight
Look at your pet when he or she is sitting down.
Can you see any places where the skin rolls over onto other parts such as the base of the tail and tops of the legs? If you can, then your pet is likely to be overweight.
Have a look at this Body Condition Score Chart, your cat should have a score of 4 to 5. If your cat scores above (or even below) speak to you veterinary nurse for advice about your pet’s weight.
Cat Body Condition Score (Royal Canin)
What You Can Do To Help Your cat
If your cat is overweight it is important that you help him or her to lose weight. Ignoring or denying the fact does your cat no favours at all and further weight gain could have a significant impact on health and wellbeing. Helping your cat to lose weight will require a commitment from the whole family, but is well worth the effort and is easier than you think.
- - -
Below is a relaxed CePuCo4 crystal, with properties calculated at the PBE-GGA level.

abc: 6.9479 6.9479 6.9479
angles: 90.00 90.00 90.00
Space group F-43m (No. 216)
Asymmetric unit:
Ce (0.0000, 0.0000, 0.0000) x4
Pu (0.2500, 0.2500, 0.2500) x4
Co (0.1231, 0.1231, 0.6231) x16

Results
calculated total energy: -8.201 eV/atom
formation energy: -0.095 eV per atom
V: 13.97 Å³ per atom
total magnetization: 8.6 μB/f.u.

----------

The following is a DFT calculation (meta-GGA r2SCAN) of a geometry-optimized Ta structure.

Lattice parameters (Å, degrees): 10.222 10.222 5.308 90.00 90.00 90.00
Space group P-42_1m (No. 113)
Unique sites:
Ta: 0.000 0.500 0.242
Ta: 0.035 0.128 0.743
Ta: 0.068 0.239 0.243
Ta: 0.105 0.395 0.741
Ta: 0.181 0.681 0.499
Ta: 0.181 0.681 0.998

Values from the calculation:
volume = 18.488 Å³/atom
magnetization = 0.00 Bohr magnetons per cell
excess energy over the best structure of this formula in the dataset = 0 meV per atom
formation energy = 0.000 eV/atom
calculated density = 16.3 g/cm³

----------

The following is a PBE calculation of an optimized crystal structure of Ti2FeB2RuRh4, from the Materials Project.

Cell: 3.065 9.078 9.119 Å, 90.00 90.00 90.00°
Sites, in units of the cell vectors:
Rh: 0.500 0.785 0.927
Ti: 0.000 0.328 0.819
Ti: 0.000 0.817 0.678
Rh: 0.500 0.500 0.000
Ti: 0.000 0.672 0.181
Rh: 0.500 0.000 0.500
Rh: 0.500 0.715 0.427
Fe: 0.000 0.500 0.500
Rh: 0.500 0.215 0.073
B: 0.000 0.377 0.127
Rh: 0.500 0.073 0.786
B: 0.000 0.623 0.873
Rh: 0.500 0.285 0.573
Fe: 0.000 0.000 0.000
B: 0.000 0.875 0.374
B: 0.000 0.125 0.626
Ti: 0.000 0.183 0.322
Ru: 0.500 0.427 0.288
Ru: 0.500 0.573 0.712
Rh: 0.500 0.927 0.214

Output
* raw total energy: -8.190 eV per atom
* formation enthalpy at 0 K: -0.55 eV/atom
* magnetic moment: 4.3 μB per formula unit
- - -
1 . Get Help & Advice From Your Veterinary Nurse
Many cats are able to lose weight on their current food however, it is important that your pet’s food is not reduced too much or they may miss out on necessary nutrients.
Speak to your veterinary practice about weight loss clinics with the veterinary nurse, as most will offer this service free of charge and will be able to give you help and advice.
Regular monitoring and weight checks by your veterinary nurse are really important, they will ensure that your cat is losing weight at a safe rate and help you make any adjustments to their diet as necessary. This is particularly important with cats as too rapid a weight loss can cause associated health problems such as Hepatic Lipidosis, which can be fatal.
If your pet is not losing weight well on their current food, a reduced calorie veterinary prescription diet may be recommended instead; these diets have been specially developed to provide reduced calories but maintain the correct nutrient level that your pet needs as well as making them feel nice and full. (You may be able to buy these diets cheaper online than you can through your veterinary practice, but please ensure that your cat attends regular monitoring visits if they are on these diets)
Some cats tend to lose weight better when fed a wet food rather than a dry diet so this may be worth considering. If you do decide to change your cat’s diet it is important to do so slowly over a period of 7-10 days to avoid any tummy upsets.

Tips and Tricks
- Weigh out your pets daily food amount on a set of digital kitchen scales, rather than guessing and store in a sealed container. You can even use some of this daily allowance as a titbit if your cat is constantly asking for food.
- If your cat seems hungry all the time you can try splitting their daily food portion across 3 -5 smaller meal times. If you are out during the day you can purchase a feeder with a timer on it to help with this.
- You can use scatter feeding to make food last longer and make eating fun. You can do this with a feeding ball or you can encourage your cat to hunt for food by hiding food around the home in small pieces of tissue paper or inside a small cardboard roll; start off with easy finds and gradually hide them in better places.
- If you have a cat that likes to finish off food left by other pets, you may need to separate them at feeding times or use a microchip reading cat feeder.
- If you suspect your cat is visiting other people’s homes for an extra meal (you would be surprised at how many do!) An extra tag on the collar, or leaflets through the doors in the local area asking people not to feed him or her is a good way of stopping this.
- Cats meow for lots of reasons – don’t be tempted to think that they are hungry every time they make a noise. They may just be saying hello or asking for a fuss and some attention.
- Cats will often refuse to go out if the weather is not good, so try to encourage more activity through play and spending time with your cat; get him or her chasing toys and moving around. Catnip is fantastic for encouraging some cats to move about and play. Try to provide play sessions in short bursts of 3-5 minutes as cats will lose interest if they go on for too long.
- Try and find out who the ‘sneaky feeders’ are amongst your family and friends; many people give pets food without even realising they are doing it!
- Look at your cat’s behaviour patterns, especially if you have a multicat household or lots of neighbouring cats. I have seen many cats who are overweight because they are too scared to leave the house or go more than a few paces from the door because they are being bullied by other cats.
- If you are going on holiday, weigh out enough food and/or set aside the right amount of tins/pouches in advance so that your cat-sitter does not overfeed your cat while you are away.
Great information here- thank you !
Hfantastique @yahoo.com.au On Wed, 24 Feb 2016 at 6:03 PM, Katzenworld wrote:
> Castle Vets Reading posted: ” Pet obesity is a growing problem in the > United Kingdom with an estimated 1 in 4 cats being overweight. Obesity is > a preventable disease and an extremely serious welfare issue in our cats > which leads to unnecessary suffering and prevents them from leadi” >
My cat looks just the one in the pic.. chubbiness and all! I’ll have to try some of these tips.
A good future article might be some suggestions on how to provide exercise for indoor cats. I try to play with him in ways that will make him do some running, but he doesn’t always cooperate! Maybe some of your readers have more suggestions?
A great idea, I will try to incorporate that in the next article 🙂
In a multi-cat house it’s much harder to manage. When I adopted a young cat a few years ago, one of my cats ate to medicate herself. She ballooned up before I noticed. Curtailing her food meant that I had to put the food for the other cats up where she couldn’t jump. It took a year but she lost 3-1/2 lbs. It was slow but she has maintained it. She will never be a thin cat but at least she’s healthy. She became more active as she lost weight and also was able to clean herself much better. Oh yes, I know that wide-eyed starving look. She has perfected it.
I often recommend the microchip-reading cat food bowls for multicat households, however these are quite expensive. One of my owners designed a feeding station out of a large box and fitted a cat flap to the front which they altered slightly so only the slim cats could get through.
Obesity is a preventable disease
WRONG – Obesity in itself is NO disease. There may be diseases following – but we are talking about higher risks here, not about a certainty. But obesity in itself is NOT a disease!
You are right, however, the reason the veterinary world tends to refer to obesity as a disease, is that it can have dire consequences that harm the body like any other medical condition. It also makes it much more likely that pet owners will pay attention to the condition of their pet and do something about it.
It is entirely preventable and is brought about by the animal’s calorie intake exceeding its calorie expenditure, which is something that the pet owner is ultimately responsible for.
It CAN have dire consequences. But, given the human experience, only 5 % of dieters keep their weight down. If for any other condition you prescribed a therapy that only works in the long way for 5 % of your patients, you’d be called a quack. What is the long term effect of diets for pets?
Such a cute kitty. I have a few that need a diet- I do too.
You Miss Ellen? Mom certainly needs a diet… maybe both of you can start a diet club or something like that.
Billy The Time Cat
my cats used to be PORKERS…and were very unhappy when I first put them on an all wet diet..they are now nice and slim and love their new all wet diet.. 🙂
I put crunch around the apartment but I definitely going to try the crunch in paper and toilet rolls! Great advice and tips!
Since I have diabetes mom weight my food. Only raw food with no carbs in it and if I get treats it is dry food (never special snacks with a lot of calories )but she let me run after them (ok, the whole gang is running then) around the appartement. She throws them through the appartement and we chase them, the one who got first is the luckiest (Most of the time it is Amy but she is younger) but I’m not a bad competitor either.
So this is a lot of fun chasing. We only get each 3 but with the 4 of use we have 12 treats to run after.
Pets deserve Real Food. The Pet Food Industry claims their product is sufficient and ‘human food’ is unsafe and unnecessary. Why then are ‘human’ diseases like Diabetes, Pancreatitis, Obesity and Cancer endemic in pet populations? Commercial pet food are not even human grade products. That means 4D; dead, diseased, decayed or dying. Not Safe for Human Consumption.
Kibble only diets in cats is especially harmful, not only because the source of meat, but because of the over use of grain, especially wheat, rice and corn – all subject to heavy pesticides. Grains are not a natural food for cats as they are very carnivorous dependent.
Additives from cellulose (wood chips), to artificial colors (check the poops for yellow & red) and other fillers (like the wheat germ from China which killed and sickened so many pets in the USA) are unknown to the consumer and unlabeled by the company.
Feeding dry only food can case Urinary problems especially in males. Adding water, broth or herb tea to kibble will make your kitty feel fuller and help with digestion too.
There are many studies that prove adding living food like wheatgrass, sprouts, spirulina, fresh catnip, real meat and fish can change the life of your cat. Recipes for homecooking for your kitties are everywhere on the internet. It’s fun and doesn’t have to take a lot of time. Sharing is pack behavior and is very bonding. We have sacrificed the health of our pets for the convenience of being able to put something in a bowl and walk away from it. They deserve better. #imo Thanks!
I feed mine wet food in the mornings and dry food in the evening. The evening food is grain free and due to this has a very short shelf life.